It's always ironic when God works in your life and prepares for something to come. This happened to me recently. I was asked to teach our adult Wednesday night group and I found myself teaching on the ways of the wise from Proverbs and a key part of that is seeking wise Godly counsel. Then, in our High school Sunday School study I again found myself leading/teaching on the importance of seeking Godly counsel. I didn't realize it at the time, but God was preparing me. Preparing me for something that I did not expect; and if I'm honest something that I'm still processing through.
I recently experienced heartache - and hope I will be able to reconnect and redevelop my relationship with that person in the right timing - and one of the best things that I did during this situation was reach out to my support network and seek wisdom on what my "next steps" should be. I received wisdom from a multiple close friends as to how to be assertive, yet respectful. How to express my deep care without feeling smothering or like I was trying to force them back to me. I also received insight about myself from them and was able to hear their stories of similar heartache. One person told me how they and their, now long time, spouse had taken time from their relationship several times and always ended up back together - giving me hope for my relationship. Another told me of and how the were able to persevere through the difficulty of ending a relationship that had, at one time, seemed to be leading to marriage. Still others offered encouraging words and comforting thoughts.
Each of the people I talked with and sought counsel from offered wonderful insights and each encouraged, and reminded, me, above all, God is still sovereign. He knows the story of my life better than I ever will because He has written it and knows all the twists and turns. He is a God of wisdom and comfort and I, and my now former partner, can trust Him to lead us in the plan He has set for our lives. Though this knowledge doesn't eliminate the pain it does provide some ease to it. I have a confidence that God will lead me to the right person, in the right timing. Whether it is my former partner or a new, to be revealed, woman of faith.
The page is interrupted by data records.
The following is a quantum chemistry calculation of a structure of composition C12H14BF3MnN6O2, from OMol25.

Element x y z (Å)
Mn 2.191 0.953 0.038
F 1.482 -0.301 4.387
F -0.183 0.539 3.245
F 1.218 1.874 4.294
O 2.308 1.927 1.818
O 2.241 -0.290 1.677
N -2.204 -0.445 -1.895
N -1.403 -0.050 -2.961
N 1.209 2.137 -1.200
N 1.166 -0.623 -2.334
N 1.962 -0.465 -1.213
N 0.465 1.825 -2.340
C 1.125 0.730 3.596
C 2.646 -2.298 -2.309
C 2.822 -1.524 -1.154
C -2.149 -0.088 -4.107
C -3.431 -0.674 -2.378
C 0.914 4.018 -2.404
C 1.414 3.486 -1.204
C -1.730 -2.566 2.420
C -3.452 -0.477 -3.783
C 1.606 -1.702 -3.023
C 0.351 2.948 -3.093
C 1.993 0.788 2.304
B 0.132 0.396 -2.885
H 3.231 -3.152 -2.593
H 1.004 5.034 -2.739
H -0.881 -2.187 1.843
H -1.705 0.168 -5.060
H -0.068 2.885 -4.089
H 0.424 0.464 -4.072
H 3.505 -1.614 -0.325
H -4.291 -0.585 -4.443
H -4.269 -0.957 -1.753
H -2.017 -1.837 3.141
H -2.553 -2.763 1.726
H 1.154 -1.931 -3.980
H -1.438 -3.504 2.901
H 1.963 3.970 -0.415

Computed properties:
E = -65857.7245 eV
Multiplicity = 6
Energy relative to the best compared isomer or geometry (same formula, charge and spin) = 39.0 kcal per mole
E_HOMO (alpha / beta) = -8.6 / -8.6 eV
Charge = 0

Okay, here come the Mulliken numbers, in e, for every atom:
1. Mn 0.66
2. F -0.23
3. F -0.23
4. F -0.24
5. O -0.65
6. O -0.63
7. N -0.83
8. N 0.67
9. N -0.10
10. N 0.20
11. N -0.02
12. N 0.14
13. C 0.81
14. C -1.03
15. C -0.24
16. C -0.31
17. C -0.19
18. C -1.08
19. C -0.12
20. C -0.85
21. C -0.71
22. C -0.09
23. C -0.07
24. C 0.93
25. B -0.33
26. H 0.39
27. H 0.38
28. H 0.08
29. H 0.42
30. H 0.42
31. H -0.08
32. H 0.46
33. H 0.37
34. H 0.41
35. H 0.23
36. H 0.26
37. H 0.45
38. H 0.27
39. H 0.49

~~~~~

ORCA calculation (the ωB97M-V functional and the def2-TZVPD basis) on a structure of composition C27H50OP2Sn at a distorted geometry.

Structure (XYZ):
```
81
Properties=species:S:1:pos:R:3:forces:R:3
Sn -0.265846 -0.111480 1.100283 -0.651 -0.486 2.320
C -0.391077 -2.753200 3.051470 -0.586 0.387 0.255
C 0.971458 -2.850922 2.622549 0.732 -0.015 -0.059
C 0.862228 -1.283389 4.303906 -0.111 -0.184 0.126
C -0.452049 -1.784196 4.097132 0.208 -0.132 0.023
C 1.743832 -1.943834 3.402183 -0.293 -0.115 0.181
C -1.554599 -3.500179 2.521152 -0.192 -0.179 -0.198
H -1.340210 -3.977716 1.555864 -0.024 0.123 0.323
H -2.429839 -2.842064 2.393610 0.308 -0.212 0.120
H -1.848521 -4.294442 3.227617 0.044 0.181 -0.161
C -1.663737 -1.378900 4.839263 -0.277 0.087 -0.009
H -2.571856 -1.693591 4.314304 0.171 0.096 0.145
H -1.699786 -0.290313 4.979847 0.063 -0.248 -0.043
H -1.685263 -1.846672 5.835339 0.071 0.093 -0.154
C 1.227483 -0.234403 5.282832 0.232 0.333 0.064
H 1.134293 -0.606897 6.317612 -0.041 0.101 -0.312
H 0.563147 0.643824 5.183675 0.171 -0.381 0.043
H 2.266078 0.098371 5.141590 -0.364 -0.105 0.120
C 3.203243 -1.710818 3.303555 0.223 0.094 -0.127
H 3.739519 -2.228792 4.114135 -0.108 0.129 -0.173
H 3.434108 -0.639683 3.397175 -0.002 -0.273 0.014
H 3.608080 -2.077792 2.353349 -0.059 0.050 0.238
Today, I pray for wisdom and comfort for myself and for her. I hope for each of us to gain clarity, surety, and above all a closer-ness to God in the midst of a new painful time of emotional and relational loss. We can trust that if it is God's desire when we begin to communicate again, He will tell us whether we are or are not meant for one another. My prayer is for her happiness and her continued sanctification.